........
1.
VASP calculation (PBE-GGA) on an optimized crystal structure of AlCuPt2.

## Properties
The space-group type is P4/mmm (123). The value obtained for the energy relative to the elements is -67 kJ per mole of atoms.

abc: 3.5286 4.0011 4.0011
angles: 90.00 90.00 90.00
Positions (direct):
Cu 0.0000 0.5000 0.5000
Al 0.0000 0.0000 0.0000
Pt 0.5000 0.0000 0.5000
Pt 0.5000 0.5000 0.0000


2.
VASP calculation (PBE-GGA) on an optimized crystal structure of KTe2F9.

## Properties
The space-group type is P-1 (2). The value obtained for the energy relative to the elements is -253 kJ per mole of atoms.

abc: 4.9455 9.5076 9.5806
angles: 109.67 96.07 95.74
Positions (direct):
F 0.8635 0.3991 0.6414
F 0.6549 0.4589 0.3505
F 0.7870 0.5486 0.9158
F 0.2573 0.2630 0.7492
F 0.0167 0.2982 0.2363
F 0.3806 0.9065 0.3146
F 0.1485 0.9409 0.6405
F 0.9833 0.7018 0.7637
F 0.8515 0.0591 0.3595
F 0.6194 0.0935 0.6854
F 0.2130 0.4514 0.0842
F 0.5656 0.9309 0.8446
F 0.3451 0.5411 0.6495
F 0.1365 0.6009 0.3586
F 0.4344 0.0691 0.1554
F 0.6911 0.2425 0.9676
F 0.7427 0.7370 0.2508
F 0.3089 0.7575 0.0324
Te 0.1140 0.5375 0.8084
Te 0.3656 0.0950 0.8229
Te 0.6344 0.9050 0.1771
Te 0.8860 0.4625 0.1916
K 0.3794 0.2423 0.4565
K 0.6206 0.7577 0.5435


3.
VASP calculation (PBE-GGA) on an optimized crystal structure of Er4Ni13C4.

## Properties
The space-group type is Cmmm (65). The value obtained for the energy relative to the elements is -34 kJ per mole of atoms.

abc: 8.3557 8.3557 3.8382
angles: 90.00 90.00 91.26
Positions (direct):
Ni 0.1234 0.1234 0.5000
Ni 0.2156 0.5698 0.0000
Ni 0.5698 0.2156 0.0000
Ni 0.8766 0.8766 0.5000
Ni 0.9256 0.7091 0.0000
Ni 0.0744 0.2909 0.0000
Ni 0.7844 0.4302 0.0000
Ni 0.0000 0.0000 0.0000
Ni 0.5000 0.0000 0.5000
Ni 0.7091 0.9256 0.0000
Ni 0.0000 0.5000 0.5000
Ni 0.4302 0.7844 0.0000
Ni 0.2909 0.0744 0.0000
C 0.5000 0.0000 0.0000
C 0.5570 0.4430 0.0000
C 0.4430 0.5570 0.0000
C 0.0000 0.5000 0.0000
Er 0.1872 0.8128 0.5000
Er 0.6516 0.6516 0.5000
Er 0.3484 0.3484 0.5000
Er 0.8128 0.1872 0.5000


4.
VASP calculation (PBE-GGA) on an optimized crystal structure of Mn3Fe9C4.

## Properties
The space-group type is P1 (1). The size of the total moment comes out at 18.14 μB/cell. The value obtained for the energy relative to the elements is 5 kJ per mole of atoms.

abc: 4.4572 5.0168 6.7436
angles: 90.01 89.00 90.05
Positions (direct):
Fe 0.6643 0.0390 0.2501
Fe 0.1727 0.1760 0.0714
Fe 0.8314 0.8244 0.9279
Fe 0.6756 0.3194 0.9344
Fe 0.8361 0.5369 0.2520
Fe 0.3387 0.9638 0.7489
Fe 0.8306 0.8209 0.5623
Fe 0.3299 0.6781 0.4318
Fe 0.1654 0.4596 0.7515
Mn 0.3301 0.6779 0.0650
Mn 0.6628 0.3218 0.5693
Mn 0.1634 0.1817 0.4370
C 0.0663 0.8793 0.2506
C 0.4320 0.3810 0.2495
C 0.9350 0.1209 0.7431
C 0.5657 0.6193 0.7551


5.
VASP calculation (PBE-GGA) on an optimized crystal structure of Na2PtC4O16.

## Properties
The space-group type is Cmce (64). The size of the total moment comes out at 4.00 μB/cell. The value obtained for the energy relative to the elements is -57 kJ per mole of atoms.

abc: 8.2755 8.2755 13.2419
angles: 90.00 90.00 128.89
Positions (direct):
C 0.2834 0.3870 0.8144
C 0.7166 0.6130 0.1856
C 0.1130 0.2166 0.3144
C 0.6130 0.7166 0.1856
C 0.8870 0.7834 0.6856
C 0.2166 0.1130 0.3144
C 0.3870 0.2834 0.8144
C 0.7834 0.8870 0.6856
O 0.3631 0.1695 0.7456
O 0.6706 0.4921 0.1083
O 0.7521 0.1839 0.0816
O 0.1695 0.3631 0.7456
O 0.7553 0.7553 0.4537
O 0.9921 0.1706 0.3917
O 0.6839 0.2521 0.4184
O 0.2553 0.2553 0.0463
O 0.6695 0.8631 0.7544
O 0.8631 0.6695 0.7544
O 0.8305 0.6369 0.2544
O 0.1839 0.7521 0.0816
O 0.0079 0.8294 0.6083
O 0.3308 0.6692 0.5000
O 0.1706 0.9921 0.3917
O 0.3161 0.7479 0.5816
O 0.2479 0.8161 0.9184
O 0.6692 0.3308 0.5000
O 0.7447 0.7447 0.9537
O 0.2447 0.2447 0.5463
O 0.3305 0.1369 0.2456
O 0.8294 0.0079 0.6083
O 0.2521 0.6839 0.4184
O 0.1369 0.3305 0.2456
O 0.5079 0.3294 0.8917
O 0.3294 0.5079 0.8917
O 0.8161 0.2479 0.9184
O 0.1692 0.8308 0.0000
O 0.6369 0.8305 0.2544
O 0.8308 0.1692 0.0000
O 0.4921 0.6706 0.1083
........

Say how many lines of the material earlier on hold the word "cell", as a bare number, please.

2